May 14, 2024 – Feast of s. Matthias

Acts 1:15-26; John 15:9-17




Dear Brothers,

### These records of crystals were left in the page by mistake
/*
Run i
# Rb2GaGe (GGA-PBE, optimized geometry)
# M_tot: 0.25 μB per atom
# N(E_F): 0.577 states/eV per atom
data_Rb2GaGe
_symmetry_space_group_name_H-M 'F m -3 m'
_symmetry_Int_Tables_number 225
_symmetry_space_group_name_Hall '-F 4 2 3'
_cell_length_a 8.4305
_cell_length_b 8.4305
_cell_length_c 8.4305
_cell_angle_alpha 90.00
_cell_angle_beta 90.00
_cell_angle_gamma 90.00
loop_
_atom_site_label
_atom_site_type_symbol
_atom_site_fract_x
_atom_site_fract_y
_atom_site_fract_z
Rb1 Rb 0.2500 0.2500 0.2500
Ga1 Ga 0.0000 0.0000 0.0000
Ge1 Ge 0.0000 0.0000 0.5000

Run ii
# Rb2GaGe (GGA-PBE, optimized geometry)
# M_tot: 0.00 μB per atom
# N(E_F): 0.751 states/eV per atom
data_Rb2GaGe
_symmetry_space_group_name_H-M 'I -4 2 d'
_symmetry_Int_Tables_number 122
_symmetry_space_group_name_Hall 'I -4 2bw'
_cell_length_a 4.8795
_cell_length_b 4.8795
_cell_length_c 24.4236
_cell_angle_alpha 90.00
_cell_angle_beta 90.00
_cell_angle_gamma 90.00
loop_
_atom_site_label
_atom_site_type_symbol
_atom_site_fract_x
_atom_site_fract_y
_atom_site_fract_z
Rb1 Rb 0.2469 0.2500 0.1250
Ga1 Ga 0.0000 0.0000 0.0000
Ge1 Ge 0.0000 0.0000 0.5000

Run iii
# Rb2GaGe (GGA-PBE, optimized geometry)
# M_tot: 0.00 μB per atom
# N(E_F): 0.300 states/eV per atom
data_Rb2GaGe
_symmetry_space_group_name_H-M 'C 1 2 1'
_symmetry_Int_Tables_number 5
_cell_length_a 11.5710
_cell_length_b 6.7464
_cell_length_c 4.3679
_cell_angle_alpha 90.00
_cell_angle_beta 112.06
_cell_angle_gamma 90.00
loop_
_symmetry_equiv_pos_as_xyz
'x,y,z'
'-x,y,-z'
'x+1/2,y+1/2,z'
'-x+1/2,y+1/2,-z'
loop_
_atom_site_label
_atom_site_type_symbol
_atom_site_fract_x
_atom_site_fract_y
_atom_site_fract_z
Rb1 Rb 0.1801 0.0000 0.1800
Ga1 Ga 0.0000 0.6501 0.5000
Ge1 Ge 0.0000 0.4739 0.0000

Stability, highest: run iii

Run i
# RbGa3Ge (GGA-PBE, optimized geometry)
# M_tot: 0.00 μB per atom
# N(E_F): 0.246 states/eV per atom
data_RbGa3Ge
_symmetry_space_group_name_H-M 'C 1 2/c 1'
_symmetry_Int_Tables_number 15
_cell_length_a 11.1969
_cell_length_b 8.7845
_cell_length_c 11.0716
_cell_angle_alpha 90.00
_cell_angle_beta 106.97
_cell_angle_gamma 90.00
loop_
_symmetry_equiv_pos_as_xyz
'x,y,z'
'-x,-y,-z'
'-x,y,-z+1/2'
'x,-y,z+1/2'
'x+1/2,y+1/2,z'
'-x+1/2,-y+1/2,-z'
'-x+1/2,y+1/2,-z+1/2'
'x+1/2,-y+1/2,z+1/2'
loop_
_atom_site_label
_atom_site_type_symbol
_atom_site_fract_x
_atom_site_fract_y
_atom_site_fract_z
Rb1 Rb 0.0865 0.1945 0.1183
Ga1 Ga 0.1056 0.3875 0.6620
Ga2 Ga 0.1260 0.4944 0.8966
Ga3 Ga 0.1996 0.0222 0.8909
Ge1 Ge 0.0000 0.1598 0.7500
Ge2 Ge 0.2500 0.2500 0.5000

Run ii
# RbGa3Ge (GGA-PBE, optimized geometry)
# M_tot: 0.00 μB per atom
# N(E_F): 0.815 states/eV per atom
data_RbGa3Ge
_symmetry_space_group_name_H-M 'P m -3 m'
_symmetry_Int_Tables_number 221
_symmetry_space_group_name_Hall '-P 4 2 3'
_cell_length_a 5.7633
_cell_length_b 5.7633
_cell_length_c 5.7633
_cell_angle_alpha 90.00
_cell_angle_beta 90.00
_cell_angle_gamma 90.00
loop_
_atom_site_label
_atom_site_type_symbol
_atom_site_fract_x
_atom_site_fract_y
*/
### Back to the page

          Of saint Matthias, we know very little more than what we find in the brief narrative of the Book of the Acts of the Apostles about his election. The essential element of the narrative is Peter’s discourse, which reveals many things to us about the primitive Church and about the meaning of Evangelization. We see in that narrative that the Evangelization consists essentially in being a “witness of the Resurrection”. Now, we know that there were no witness present at the moment Jesus came out from the tomb. To be a “witness of the Resurrection”, in Peter’s mind is to have been part of the community of those who followed Christ “the whole time the Lord Jesus came and went among us, beginning from the baptism of John until the day on which he was taken up from us.

          This is the primitive Christian community, the “apostolic” community; and we could even say the first “monastic” community; because it was the community united around Jesus from the moment he was baptised by John, and by that action assumed the ascetic movement that John represented. The Apostles are not simply auditors who heard some words and reported them, who saw some thins and reported them. They are persons who lived with Jesus, who abode with Him. The Resurrection of which they want to be the witnesses, is not an event that happened on Easter morning. It is the fact that Jesus is always the same, the Living one, from the time of his life here on earth, till the moment of his Ascension, after as before his Passion and his Death. They can be witness to this, because they lived those events with Him.

          To live something with a person implies an element of time, of duration, of stability, which is, as we well know, an important element of monastic life according to the Rule of St. Benedict. Jesus stresses that element of duration, with a particular insistence, in his talks with his Disciples during his last Supper with them. We just read a passage of that discourse. The verb “to abide” or “abiding” is used many times, as a refrain. “Abide in my love”, says He, “as I have kept my Father’s commands and I abide in his love”. He tells them those things, so that his joy would abide in them, and so that that joy might be full. Finally, he establishes them, so that they may bear fruit and that their fruit might abide.

-- Calculated crystals, kept here for reference --
<<<
[1]
# PBE-GGA Pr2MgSb3Pt4, optimized geometry
data_Pr2MgSb3Pt4
_symmetry_space_group_name_H-M 'P -4 m 2'
_symmetry_Int_Tables_number 115
_symmetry_space_group_name_Hall 'P -4 -2'
_cell_length_a 4.5093
_cell_length_b 4.5093
_cell_length_c 11.0152
_cell_angle_alpha 90.00
_cell_angle_beta 90.00
_cell_angle_gamma 90.00
loop_
_atom_site_label
_atom_site_type_symbol
_atom_site_fract_x
_atom_site_fract_y
_atom_site_fract_z
Pr1 Pr 0.0000 0.5000 0.2335
Mg1 Mg 0.0000 0.0000 0.5000
Sb1 Sb 0.0000 0.5000 0.8660
Sb2 Sb 0.5000 0.5000 0.5000
Pt1 Pt 0.0000 0.0000 0.0000
Pt2 Pt 0.0000 0.5000 0.6312
Pt3 Pt 0.5000 0.5000 0.0000
# **Size of the total moment**: 0.00 μB/cell
# **DOS(E_F)**: 0.46 states/eV per atom
# **E_form (uncorrected)**: -0.899 eV per atom
# **Mass density**: 10.76 Mg/m³
# **VASP energy**: -5.667 eV/atom

***

[2]
# PBE-GGA PrMgSi2Pt5, optimized geometry
data_PrMgSi2Pt5
_symmetry_space_group_name_H-M 'P 4/m m m'
_symmetry_Int_Tables_number 123
_symmetry_space_group_name_Hall '-P 4 2'
_cell_length_a 4.1047
_cell_length_b 4.1047
_cell_length_c 10.5972
_cell_angle_alpha 90.00
_cell_angle_beta 90.00
_cell_angle_gamma 90.00
loop_
_atom_site_label
_atom_site_type_symbol
_atom_site_fract_x
_atom_site_fract_y
_atom_site_fract_z
Pr1 Pr 0.0000 0.0000 0.0000
Mg1 Mg 0.0000 0.0000 0.5000
Si1 Si 0.5000 0.5000 0.2221
Pt1 Pt 0.0000 0.5000 0.3313
Pt2 Pt 0.5000 0.5000 0.0000
# **Size of the total moment**: 0.00 μB/cell
# **DOS(E_F)**: 0.32 states/eV per atom
# **E_form (uncorrected)**: -0.777 eV per atom
# **Mass density**: 11.13 Mg/m³
# **VASP energy**: -6.046 eV/atom

***

[3]
# PBE-GGA PrMg2Si2Pt, optimized geometry
data_PrMg2Si2Pt
_symmetry_space_group_name_H-M 'I 4/m m m'
_symmetry_Int_Tables_number 139
_symmetry_space_group_name_Hall '-I 4 2'
_cell_length_a 5.1040
_cell_length_b 5.1040
_cell_length_c 10.8115
_cell_angle_alpha 90.00
_cell_angle_beta 90.00
_cell_angle_gamma 90.00
loop_
_atom_site_label
_atom_site_type_symbol
_atom_site_fract_x
_atom_site_fract_y
_atom_site_fract_z
Pr1 Pr 0.0000 0.0000 0.0000
Mg1 Mg 0.0000 0.5000 0.2500
Si1 Si 0.0000 0.0000 0.2885
Pt1 Pt 0.0000 0.0000 0.5000
# **Size of the total moment**: 0.00 μB/cell
# **DOS(E_F)**: 0.40 states/eV per atom
# **E_form (uncorrected)**: -0.133 eV per atom
# **Mass density**: 5.20 Mg/m³
# **VASP energy**: -4.275 eV/atom

***

[4]
# PBE-GGA PrMg2SiPt2, optimized geometry
data_PrMg2SiPt2
_symmetry_space_group_name_H-M 'I 4/m m m'
_symmetry_Int_Tables_number 139
_symmetry_space_group_name_Hall '-I 4 2'
_cell_length_a 5.0912
_cell_length_b 5.0912
_cell_length_c 10.6944
_cell_angle_alpha 90.00
_cell_angle_beta 90.00
_cell_angle_gamma 90.00
loop_
_atom_site_label
_atom_site_type_symbol
_atom_site_fract_x
_atom_site_fract_y
_atom_site_fract_z
Pr1 Pr 0.0000 0.0000 0.0000
Mg1 Mg 0.0000 0.5000 0.2500
>>>

          We know how saint Benedict, in his chapter on the reception of brothers, establishes that during the year of discernment, the whole text of the Rule will be read to the candidate, so that he may be sure that this is what he wants to live and that he can live it. Each time the candidate is invited to promise his stability in the community. Is it really where he wants to abide ?

### Someone pasted records of crystals at this point
'''
#one
Density functional theory data (SCAN) for BeSiBr2 at its PBEsol-relaxed geometry.

Calculated values
**Space-group type**: P4/mmm, No. 123
**Magnetization**: 0.000 μB/cell
**DOS at the Fermi energy**: 1.94 states/eV/cell

a b c (Å): 3.332 4.742 4.743
angles (deg): 90.03 90.00 90.00
Fractional positions:
Be 0.500 0.500 0.500
Si 0.500 0.000 0.000
Br 0.000 0.000 0.500
Br 0.000 0.500 0.000

***

#two
Density functional theory data (SCAN) for BeSiBr2 at its PBEsol-relaxed geometry.

Calculated values
**Space-group type**: C2/m, No. 12
**Magnetization**: 0.000 μB/cell
**DOS at the Fermi energy**: 1.08 states/eV/cell

a b c (Å): 3.181 5.080 6.048
angles (deg): 105.55 105.24 90.00
Fractional positions:
Si 0.000 0.500 0.000
Br 0.856 0.826 0.712
Be 0.500 0.000 0.000
Br 0.144 0.174 0.288

***

#three
Density functional theory data (SCAN) for BeSiBr2 at its PBEsol-relaxed geometry.

Calculated values
**Space-group type**: Cmm2, No. 35
**Magnetization**: 0.000 μB/cell
**DOS at the Fermi energy**: 0.64 states/eV/cell

a b c (Å): 3.265 3.558 8.617
angles (deg): 90.00 90.00 117.31
Fractional positions:
Br 0.500 0.000 0.316
Br 0.000 0.000 0.906
Si 0.000 0.000 0.541
Be 0.500 0.000 0.737

***

Which structure is the least stable? The one labeled #one.

***

#one
Density functional theory data (SCAN) for Ta2BeBr at its PBEsol-relaxed geometry.

Calculated values
**Space-group type**: I-4m2, No. 119
**Magnetization**: 0.000 μB/cell
**DOS at the Fermi energy**: 3.97 states/eV/cell

a b c (Å): 3.829 3.829 5.112
angles (deg): 111.99 111.99 90.00
Fractional positions:
Ta 0.000 0.000 0.000
Be 0.500 0.500 0.000
Ta 0.750 0.250 0.500
Br 0.250 0.750 0.500

***

#two
Density functional theory data (SCAN) for Ta2BeBr at its PBEsol-relaxed geometry.

Calculated values
**Space-group type**: Imm2, No. 44
**Magnetization**: 0.000 μB/cell
**DOS at the Fermi energy**: 3.08 states/eV/cell

a b c (Å): 2.971 4.603 5.453
angles (deg): 114.97 105.81 90.00
Fractional positions:
Be 0.493 0.493 0.986
Ta 0.982 0.982 0.965
Br 0.256 0.756 0.512
Ta 0.769 0.269 0.538

***

Which structure is the least stable? The one labeled #one.

***

#one
Density functional theory data (SCAN) for TaBe2Br at its PBEsol-relaxed geometry.

Calculated values
**Space-group type**: I-42d, No. 122
**Magnetization**: 0.000 μB/cell
**DOS at the Fermi energy**: 4.09 states/eV/cell

a b c (Å): 5.280 5.353 5.353
angles (deg): 75.92 60.45 60.45
Fractional positions:
Br 0.500 0.000 0.000
Be 0.603 0.022 0.522
Be 0.875 0.522 0.978
Be 0.147 0.978 0.478
Ta 0.000 0.000 0.000
Br 0.250 0.500 0.500
Ta 0.750 0.500 0.500
Be 0.375 0.478 0.022

***

#two
Density functional theory data (SCAN) for TaBe2Br at its PBEsol-relaxed geometry.

Calculated values
**Space-group type**: Amm2, No. 38
**Magnetization**: 0.009 μB/cell
**DOS at the Fermi energy**: 2.11 states/eV/cell

a b c (Å): 2.951 3.570 6.100
angles (deg): 90.00 104.00 90.00
Fractional positions:
Be 0.961 0.500 0.923
Be 0.057 0.000 0.113
Br 0.815 0.000 0.630
'''

          Dear Brothers, if we are all assembled here for this Eucharist, it is because we are all witnesses of the Resurrection. Since our baptism – probably, for most of us, since our childhood, we live with the Living One, who abides in us and in the midst of us. We abide in his Word, that is addressed to us every day, and that Word abides in us. Jesus, with whom we share Life, calls us his friends. The community of Believers that we are, makes that we are all, in the strictest sense of the word, and the most beautiful one, friends,

          Dear friends, let us thank saint Matthias and the other Apostles, for having been faithful witnesses of the Resurrection, and let us do the same. Then, Jesus’ joy will abide in us and it will be full.